Echo all of the data below verbatim.

{"formula": "NaU3O8", "functional": "r2SCAN", "state": "relaxed", "lattice": [[3.443, -5.964, 0.000], [3.443, 5.964, 0.000], [0.000, 0.000, 4.203]], "species": ["Na", "U", "U", "U", "O", "O", "O", "O", "O", "O", "O", "O"], "fractional_positions": [[0.000, 0.000, 0.500], [0.000, 0.360, 0.000], [0.640, 0.640, 0.000], [0.360, 0.000, 0.000], [0.655, 0.655, 0.500], [0.345, 0.000, 0.500], [0.000, 0.761, 0.000], [0.239, 0.239, 0.000], [0.761, 0.000, 0.000], [0.000, 0.345, 0.500], [0.667, 0.333, 0.000], [0.333, 0.667, 0.000]], "magmom_total_mub_per_fu": 3.00, "spacegroup": "P-62m (189)", "total_energy_ev_per_cell": -332.2}

{"formula": "Na5U5O18", "functional": "r2SCAN", "state": "relaxed", "lattice": [[9.833, 6.024, 0.016], [-9.833, 6.024, 0.016], [0.000, 1.297, 6.725]], "species": ["Na", "Na", "Na", "Na", "Na", "Na", "Na", "Na", "Na", "Na", "U", "U", "U", "U", "U", "U", "U", "U", "U", "U", "O", "O", "O", "O", "O", "O", "O", "O", "O", "O", "O", "O", "O", "O", "O", "O", "O", "O", "O", "O", "O", "O", "O", "O", "O", "O", "O", "O", "O", "O", "O", "O", "O", "O", "O", "O"], "fractional_positions": [[0.553, 0.449, 0.753], [0.449, 0.553, 0.253], [0.059, 0.942, 0.252], [0.942, 0.059, 0.752], [0.148, 0.852, 0.753], [0.852, 0.148, 0.253], [0.252, 0.752, 0.253], [0.752, 0.252, 0.753], [0.645, 0.357, 0.253], [0.357, 0.645, 0.753], [0.908, 0.602, 0.529], [0.399, 0.094, 0.974], [0.094, 0.399, 0.474], [0.602, 0.908, 0.029], [0.001, 0.501, 0.002], [0.501, 0.001, 0.502], [0.794, 0.707, 0.990], [0.294, 0.207, 0.513], [0.207, 0.294, 0.013], [0.707, 0.794, 0.490], [0.782, 0.683, 0.670], [0.318, 0.219, 0.834], [0.219, 0.318, 0.334], [0.683, 0.782, 0.170], [0.752, 0.443, 0.570], [0.558, 0.249, 0.932], [0.249, 0.558, 0.432], [0.443, 0.752, 0.070], [0.644, 0.541, 0.050], [0.460, 0.357, 0.454], [0.357, 0.460, 0.954], [0.541, 0.644, 0.550], [0.066, 0.762, 0.477], [0.240, 0.935, 0.027], [0.935, 0.240, 0.527], [0.762, 0.066, 0.977], [0.843, 0.683, 0.286], [0.319, 0.159, 0.218], [0.159, 0.319, 0.718], [0.683, 0.843, 0.786], [0.925, 0.626, 0.880], [0.376, 0.077, 0.623], [0.077, 0.376, 0.123], [0.626, 0.925, 0.380], [0.943, 0.872, 0.930], [0.129, 0.058, 0.574], [0.058, 0.129, 0.074], [0.872, 0.943, 0.430], [0.171, 0.645, 0.938], [0.357, 0.830, 0.565], [0.830, 0.357, 0.065], [0.645, 0.171, 0.438], [0.999, 0.472, 0.692], [0.529, 0.002, 0.812], [0.002, 0.529, 0.312], [0.472, 0.999, 0.192]], "magmom_total_mub_per_fu": 0.00, "spacegroup": "Cc (9)", "total_energy_ev_per_cell": -1218.2}

{"formula": "Na3UO4", "functional": "r2SCAN", "state": "relaxed", "lattice": [[-0.886, 6.626, -0.139], [-2.097, 2.944, -5.625], [-6.348, 2.783, -0.466]], "species": ["Na", "Na", "Na", "Na", "Na", "Na", "U", "U", "O", "O", "O", "O", "O", "O", "O", "O"], "fractional_positions": [[0.000, 0.500, 0.000], [0.500, 0.000, 0.000], [0.500, 0.500, 0.000], [0.500, 0.000, 0.500], [0.500, 0.500, 0.500], [0.000, 0.500, 0.500], [0.000, 0.000, 0.000], [0.000, 0.000, 0.500], [0.218, 0.218, 0.282], [0.216, 0.784, 0.250], [0.218, 0.218, 0.782], [0.216, 0.784, 0.750], [0.784, 0.216, 0.250], [0.782, 0.782, 0.218], [0.784, 0.216, 0.750], [0.782, 0.782, 0.718]], "magmom_total_mub_per_fu": 1.00, "total_energy_ev_per_cell": -271.8}

{"formula": "NaU3O8", "functional": "r2SCAN", "state": "relaxed", "lattice": [[3.443, -5.964, 0.000], [3.443, 5.964, 0.000], [0.000, 0.000, 4.203]], "species": ["Na", "U", "U", "U", "O", "O", "O", "O", "O", "O", "O", "O"], "fractional_positions": [[0.000, 0.000, 0.500], [0.000, 0.360, 0.000], [0.640, 0.640, 0.000], [0.360, 0.000, 0.000], [0.655, 0.655, 0.500], [0.345, 0.000, 0.500], [0.000, 0.761, 0.000], [0.239, 0.239, 0.000], [0.761, 0.000, 0.000], [0.000, 0.345, 0.500], [0.667, 0.333, 0.000], [0.333, 0.667, 0.000]], "magmom_total_mub_per_fu": 3.00, "spacegroup": "P-62m (189)", "total_energy_ev_per_cell": -332.2}

{"formula": "Na5U5O18", "functional": "r2SCAN", "state": "relaxed", "lattice": [[9.833, 6.024, 0.016], [-9.833, 6.024, 0.016], [0.000, 1.297, 6.725]], "species": ["Na", "Na", "Na", "Na", "Na", "Na", "Na", "Na", "Na", "Na", "U", "U", "U", "U", "U", "U", "U", "U", "U", "U", "O", "O", "O", "O", "O", "O", "O", "O", "O", "O", "O", "O", "O", "O", "O", "O", "O", "O", "O", "O", "O", "O", "O", "O", "O", "O", "O", "O", "O", "O", "O", "O", "O", "O", "O", "O"], "fractional_positions": [[0.553, 0.449, 0.753], [0.449, 0.553, 0.253], [0.059, 0.942, 0.252], [0.942, 0.059, 0.752], [0.148, 0.852, 0.753], [0.852, 0.148, 0.253], [0.252, 0.752, 0.253], [0.752, 0.252, 0.753], [0.645, 0.357, 0.253], [0.357, 0.645, 0.753], [0.908, 0.602, 0.529], [0.399, 0.094, 0.974], [0.094, 0.399, 0.474], [0.602, 0.908, 0.029], [0.001, 0.501, 0.002], [0.501, 0.001, 0.502], [0.794, 0.707, 0.990], [0.294, 0.207, 0.513], [0.207, 0.294, 0.013], [0.707, 0.794, 0.490], [0.782, 0.683, 0.670], [0.318, 0.219, 0.834], [0.219, 0.318, 0.334], [0.683, 0.782, 0.170], [0.752, 0.443, 0.570], [0.558, 0.249, 0.932], [0.249, 0.558, 0.432], [0.443, 0.752, 0.070], [0.644, 0.541, 0.050], [0.460, 0.357, 0.454], [0.357, 0.460, 0.954], [0.541, 0.644, 0.550], [0.066, 0.762, 0.477], [0.240, 0.935, 0.027], [0.935, 0.240, 0.527], [0.762, 0.066, 0.977], [0.843, 0.683, 0.286], [0.319, 0.159, 0.218], [0.159, 0.319, 0.718], [0.683, 0.843, 0.786], [0.925, 0.626, 0.880], [0.376, 0.077, 0.623], [0.077, 0.376, 0.123], [0.626, 0.925, 0.380], [0.943, 0.872, 0.930], [0.129, 0.058, 0.574], [0.058, 0.129, 0.074], [0.872, 0.943, 0.430], [0.171, 0.645, 0.938], [0.357, 0.830, 0.565], [0.830, 0.357, 0.065], [0.645, 0.171, 0.438], [0.999, 0.472, 0.692], [0.529, 0.002, 0.812], [0.002, 0.529, 0.312], [0.472, 0.999, 0.192]], "magmom_total_mub_per_fu": 0.00, "spacegroup": "Cc (9)", "total_energy_ev_per_cell": -1218.2}

{"formula": "Na3UO4", "functional": "r2SCAN", "state": "relaxed", "lattice": [[-0.886, 6.626, -0.139], [-2.097, 2.944, -5.625], [-6.348, 2.783, -0.466]], "species": ["Na", "Na", "Na", "Na", "Na", "Na", "U", "U", "O", "O", "O", "O", "O", "O", "O", "O"], "fractional_positions": [[0.000, 0.500, 0.000], [0.500, 0.000, 0.000], [0.500, 0.500, 0.000], [0.500, 0.000, 0.500], [0.500, 0.500, 0.500], [0.000, 0.500, 0.500], [0.000, 0.000, 0.000], [0.000, 0.000, 0.500], [0.218, 0.218, 0.282], [0.216, 0.784, 0.250], [0.218, 0.218, 0.782], [0.216, 0.784, 0.750], [0.784, 0.216, 0.250], [0.782, 0.782, 0.218], [0.784, 0.216, 0.750], [0.782, 0.782, 0.718]], "magmom_total_mub_per_fu": 1.00, "total_energy_ev_per_cell": -271.8}